What to do
Now type out only the lines underneath with the word "positions" in them.

Input
┌──
No. 1
IrPt4Rh7: computed XRD peak list (Cu Kα (weighted mean of Kα1 and Kα2)), based on the GGA-PBE geometry in Alexandria.
Intensities are scaled so that the largest is 100.

Principal peaks in the range 10° ≤ 2θ ≤ 90°, by angle:
2theta, I (rel.)
16.45, 6.9
40.16, 100.0
46.71, 48.6
68.20, 31.2
82.20, 37.4
86.72, 11.1

Structure:
```
IrPt4Rh7
1.0
2.751 0.000 0.000
-1.375 2.382 0.000
0.000 0.000 26.938
Ir Pt Rh
1 4 7
direct
0.000 0.000 0.000
0.333 0.667 0.166
0.333 0.667 0.416
0.667 0.333 0.584
0.667 0.333 0.834
0.000 0.000 0.251
0.000 0.000 0.500
0.000 0.000 0.749
0.333 0.667 0.668
0.333 0.667 0.919
0.667 0.333 0.081
0.667 0.333 0.332
```

---

No. 2
Al4CrRe: computed XRD peak list (Cu Kα (weighted mean of Kα1 and Kα2)), based on the GGA-PBE geometry in Alexandria.
Intensities are scaled so that the largest is 100.

Principal peaks in the range 10° ≤ 2θ ≤ 90°, by angle:
2theta, I (rel.)
21.73, 67.5
25.14, 28.1
35.85, 77.8
42.31, 100.0
64.43, 27.5
68.86, 31.3

Structure:
```
Al4CrRe
1.0
0.000 3.542 3.542
3.542 0.000 3.542
3.542 3.542 0.000
Al Cr Re
4 1 1
direct
0.125 0.125 0.125
0.125 0.125 0.625
0.125 0.625 0.125
0.625 0.125 0.125
0.750 0.750 0.750
0.500 0.500 0.500
```

---

No. 3
PmTa3O9: computed XRD peak list (Cu Kα (weighted mean of Kα1 and Kα2)), based on the GGA-PBE geometry in Alexandria.
Intensities are scaled so that the largest is 100.

Principal peaks in the range 10° ≤ 2θ ≤ 90°, by angle:
2theta, I (rel.)
23.44, 69.0
26.50, 100.0
27.64, 75.1
30.98, 80.2
33.14, 57.4
47.97, 46.2

Structure:
```
PmTa3O9
1.0
5.411 0.000 0.000
0.000 7.591 0.000
-0.356 0.000 8.305
Pm Ta O
2 6 18
direct
0.034 0.250 0.434
0.966 0.750 0.566
0.000 0.000 0.000
0.000 0.500 0.000
0.473 0.007 0.698
0.473 0.493 0.698
0.527 0.507 0.302
0.527 0.993 0.302
0.086 0.250 0.982
0.154 0.559 0.787
0.154 0.941 0.787
0.263 0.539 0.468
0.263 0.961 0.468
0.319 0.548 0.123
0.319 0.952 0.123
0.349 0.250 0.659
0.435 0.250 0.314
0.565 0.750 0.686
0.651 0.750 0.341
0.681 0.048 0.877
0.681 0.452 0.877
0.737 0.039 0.532
0.737 0.461 0.532
0.846 0.059 0.213
0.846 0.441 0.213
0.914 0.750 0.018
```

---

> What is the formula in the third record?

PmTa3O9


Sr2TbBiO5: simulated powder diffraction line list (a wavelength of 1.5418 Å), based on DFT lattice parameters and positions (PBE).
Lines closer than 0.1° are merged.

Top 8 peaks for 10 to 90 degrees two-theta, most intense first:
2θ 29.3, d 3.051, rel. 100
2θ 32.3, d 2.773, rel. 66
2θ 13.8, d 6.422, rel. 57
2θ 26.4, d 3.379, rel. 41
2θ 30.6, d 2.919, rel. 40
2θ 46.3, d 1.961, rel. 40
2θ 24.4, d 3.653, rel. 39
2θ 43.9, d 2.064, rel. 34

Crystal structure
Cell lengths 7.2294, 7.2294, 12.8444 Å; angles 90.00, 90.00, 151.34 degrees
Sites, in units of the cell vectors:
Sr  0.0644  0.9356  0.5000
Sr  0.1655  0.8345  0.0885
Sr  0.8345  0.1655  0.5885
Sr  0.9356  0.0644  0.0000
Tb  0.2553  0.7447  0.8497
Tb  0.7447  0.2553  0.3497
Bi  0.4561  0.5439  0.2758
Bi  0.5439  0.4561  0.7758
O  0.0880  0.9120  0.8771
O  0.2426  0.7574  0.4789
O  0.2649  0.7351  0.2432
O  0.4136  0.5864  0.8674
O  0.4697  0.5303  0.6098
O  0.5303  0.4697  0.1098
O  0.5864  0.4136  0.3674
O  0.7351  0.2649  0.7432
O  0.7574  0.2426  0.9789
O  0.9120  0.0880  0.3771


Record 1
# ErHfTe4
Calculated X-ray powder pattern, λ = 1.5418 Å (Cu Kα). Input: DFT lattice parameters and positions (GGA-PBE).

Top 12 peaks for 2θ = 5–70°, low angle first:
- hkl 1 0 0, 2θ 12.94, I 32
- hkl 1 0 2, 2θ 28.30, I 100
- hkl 2 0 -2, 2θ 35.99, I 12
- hkl 2 1 -1, 2θ 36.40, I 16
- hkl 2 0 2, 2θ 36.58, I 8
- hkl 2 1 1, 2θ 36.69, I 23
- hkl 0 1 3, 2θ 43.91, I 22
- hkl 0 2 0, 2θ 44.58, I 11
- hkl 3 0 -2, 2θ 46.87, I 7
- hkl 3 1 1, 2θ 47.62, I 14
- hkl 4 0 0, 2θ 53.61, I 17
- hkl 2 2 -2, 2θ 58.57, I 6

Atomic structure:
```
data_ErHfTe4
_chemical_formula_sum 'Er1 Hf1 Te4'
_symmetry_space_group_name_H-M 'P 1 2/m 1'
_symmetry_Int_Tables_number 10
_cell_length_a 6.841
_cell_length_b 4.065
_cell_length_c 7.178
_cell_angle_alpha 90.00
_cell_angle_beta 90.90
_cell_angle_gamma 90.00
└──

Completed
Sr2TbBiO5: simulated powder diffraction line list (a wavelength of 1.5418 Å), based on DFT lattice parameters and positions (PBE).
Calculated X-ray powder pattern, λ = 1.5418 Å (Cu Kα). Input: DFT lattice parameters and positions (GGA-PBE).